Understanding Naive Bayes using simple examples
Thomas Bayes was an English statistician. As Stigler states, Thomas Bayes was born in 1701, with a probability value of 0.8! (link). Bayes’ theorem has a useful application in machine learning. His papers were published by his friend, after his death. It is also said that his friend has used the theorem to prove existence of God.
Bayes’ Theorem
Using Bayes’ theorem, we can solve ‘inverse probability’ problems. Though the term ‘inverse probability’ is not used nowadays, I used it because it helps you to understand the concept which I am going to explain now.
Imagine you know the probability of an email being a spam email. You also know the probability of occurrence of word “discount” given the email is spam. And, you also know the probability of occurrence of word “discount” in any email. Can you now find out the probability of a given email being spam if it contains the word “discount”? It is like inverse probability, isn’t it?
Bayes’ theorem helps to solve this problem. Now let us go through the question once again, step by step, with explanation.
- “you know the probability of an email being spam email”
This is called prior probability which I showed using an arrow in the following picture (equation 1). In equation 1, class refers to spam email. Feature refers to occurrence of word “discount”. Now let us move ahead to the next sentence of the problem.
- “You also know the probability of occurrence of word “discount” given the email is spam”
This is a conditional probability called as the likelihood. Now the next sentence.
- “you also know the probability of occurrence of word “discount”in any email”
This refers to the evidence or normalizing constant . The denominator part of the equation 1 is P(feature). We don’t calculate the value of this denominator in naive bayes estimation. We will discuss the reason later. Now the last sentence of the problem.
- “Can you now find out the probability of a given email being spam if it contains the word “discount”?
This is the left hand side of the equation 1. Using the following equation, we can calculate the probability of a given email being spam when an email contains the word “discount”.

What comes next are data records, not part of the page:
<<<
{
  "formula": "CoBH18Br2N6F4",
  "functional": "PBE+U",
  "state": "optimized geometry",
  "cell": [[-6.260, 3.394, -2.887], [-5.829, -10.986, -0.274], [-6.684, -2.036, 12.102]],
  "species": ["Co", "Co", "Co", "Co", "B", "B", "B", "B", "H", "H", "H", "H", "H", "H", "H", "H", "H", "H", "H", "H", "H", "H", "H", "H", "H", "H", "H", "H", "H", "H", "H", "H", "H", "H", "H", "H", "H", "H", "H", "H", "H", "H", "H", "H", "H", "H", "H", "H", "H", "H", "H", "H", "H", "H", "H", "H", "H", "H", "H", "H", "H", "H", "H", "H", "H", "H", "H", "H", "H", "H", "H", "H", "H", "H", "H", "H", "H", "H", "H", "H", "Br", "Br", "Br", "Br", "Br", "Br", "Br", "Br", "N", "N", "N", "N", "N", "N", "N", "N", "N", "N", "N", "N", "N", "N", "N", "N", "N", "N", "N", "N", "N", "N", "N", "N", "F", "F", "F", "F", "F", "F", "F", "F", "F", "F", "F", "F", "F", "F", "F", "F"],
>>>

Equation 1 – Bayes’ theorem
In reality, we need more than one feature to fit a classification model. In the following example, I have used three features (or three independent variables: x1, x2 and x3). The three features are the occurrence of words “discount”, “money” and “hurry”.
We can modify the above equation to incorporate these three independent variables. To simplify the first term in the numerator of equation 2 (also called the likelihood), we assume conditional independence of features given the class. And because of this naive assumption, this classification techniques gets its name – naive bayes. What does this assumption mean?
This means, given the class of the email (let us say the email is a spam), then probability of occurrences of words “discount”, “money”, “hurry” are independent. Though it may not hold good in reality, but this assumption helps to simplify the equation 2. Since the features are independent, we can now multiply the conditional probability values of each of these three features given the class and sum these values to get the likelihood value as shown below.

These data records were left in the article by mistake >
____________
Record 1
DFT (GGA-PBE) results for a relaxed structure of SrNi2P4.

a = 10.6166 Å, b = 9.8292 Å, c = 5.4395 Å
α = 82.75°, β = 66.70°, γ = 30.55°
With the nearest neighbours (Å) after each atom.
Fractional positions:
Sr  0.1250  0.1250  0.1250  8 P 3.12-3.14, 4 Ni 3.45
Sr  0.8750  0.8750  0.8750  8 P 3.12-3.14, 4 Ni 3.45
Ni  0.2554  0.2554  0.4946  4 P 2.21-2.22
Ni  0.4946  0.4946  0.2554  4 P 2.21-2.22
Ni  0.5054  0.5054  0.7446  4 P 2.21-2.22
Ni  0.7446  0.7446  0.5054  4 P 2.21-2.22
P  0.1775  0.6855  0.1866  2 Ni 2.21-2.22, 2 P 2.23-2.25
P  0.1866  0.4505  0.1775  2 Ni 2.21-2.22, 2 P 2.23-2.25
P  0.3145  0.8225  0.5495  2 Ni 2.21-2.22, 2 P 2.23-2.25
P  0.4505  0.1866  0.6855  2 Ni 2.21-2.22, 2 P 2.23-2.25
P  0.5495  0.8134  0.3145  2 Ni 2.21-2.22, 2 P 2.23-2.25
P  0.6855  0.1775  0.4505  2 Ni 2.21-2.22, 2 P 2.23-2.25
P  0.8134  0.5495  0.8225  2 Ni 2.21-2.22, 2 P 2.23-2.25
P  0.8225  0.3145  0.8134  2 Ni 2.21-2.22, 2 P 2.23-2.25

ΔH_f (0 K) = -642 meV/atom
symmetry = Fddd
crystal system = orthorhombic

---

Record 2
DFT (GGA-PBE) results for a relaxed structure of Ta5Ni4P4.

a = 7.2323 Å, b = 7.2323 Å, c = 7.2323 Å
α = 93.41°, β = 93.41°, γ = 151.76°
With the nearest neighbours (Å) after each atom.
Fractional positions:
Ta  0.0000  0.0000  0.0000  4 P 2.62, 8 Ta 2.92
Ta  0.3053  0.6304  0.9357  5 P 2.57-2.71, 3 Ni 2.78-2.80
Ta  0.3696  0.3053  0.6749  5 P 2.57-2.71, 3 Ni 2.78-2.80
Ta  0.6304  0.6947  0.3251  5 P 2.57-2.71, 3 Ni 2.78-2.80
Ta  0.6947  0.3696  0.0643  5 P 2.57-2.71, 3 Ni 2.78-2.80
Ni  0.1106  0.4125  0.5230  3 P 2.21-2.25
Ni  0.4125  0.8894  0.3019  3 P 2.21-2.25
Ni  0.5875  0.1106  0.6981  3 P 2.21-2.25
Ni  0.8894  0.5875  0.4770  3 P 2.21-2.25
P  0.0561  0.7416  0.7977  3 Ni 2.21-2.25
P  0.2584  0.0561  0.3144  3 Ni 2.21-2.25
P  0.7416  0.9439  0.6856  3 Ni 2.21-2.25
P  0.9439  0.2584  0.2023  3 Ni 2.21-2.25

ΔH_f (0 K) = -783 meV/atom
symmetry = I4/m
crystal system = tetragonal

---

Record 3
DFT (GGA-PBE) results for a relaxed structure of TbNiP.

a = 3.9102 Å, b = 3.9102 Å, c = 15.5407 Å
α = 90.00°, β = 90.00°, γ = 120.00°
With the nearest neighbours (Å) after each atom.
Fractional positions:
Tb  0.0000  0.0000  0.0000  6 P 2.95, 6 Ni 3.01
Tb  0.0000  0.0000  0.2500  6 Ni 2.95, 6 P 3.00
Tb  0.0000  0.0000  0.5000  6 P 2.95, 6 Ni 3.01
Tb  0.0000  0.0000  0.7500  6 Ni 2.95, 6 P 3.00
Ni  0.3333  0.6667  0.1276  3 P 2.26
Ni  0.3333  0.6667  0.3724  3 P 2.26
Ni  0.6667  0.3333  0.6276  3 P 2.26
Ni  0.6667  0.3333  0.8724  3 P 2.26
P  0.3333  0.6667  0.6225  3 Ni 2.26
P  0.3333  0.6667  0.8775  3 Ni 2.26
P  0.6667  0.3333  0.1225  3 Ni 2.26
P  0.6667  0.3333  0.3775  3 Ni 2.26

ΔH_f (0 K) = -1215 meV/atom
symmetry = P6_3/mmc
crystal system = hexagonal

---

| no. | energy (eV/atom) |
| --- | --- |
| 1 | -5.628 |
| 2 | -8.788 |
| 3 | -6.491 |

* * * * *

1.
The following is a DFT calculation (r²SCAN) of a relaxed CrCo3 crystal.

abc: 3.5425 3.5400 3.5375
angles: 90.00 90.00 90.00
____________

Equation 2 – Assumption of conditional independence of features helps to simplify likelihood term of the numerator
Now instead of class let us use “y” and rewrite the equation 2 in the following format (equation 3). This is the final equation we use to build the naive bayes classifier. If there are three classes, then we have to calculate the probability values for each of the three classes using the given feature values. But we don’t have to calculate the denominator, why? Because even if you calculate the denominator value it will be the same for the given data. Confused? Okay, let me give you an example.
Let us say there are two classes. For the first class, lets say numerator value is 0.4 and for the second class it is 0.6. And the denominator value is 0.9 for both these classes. Then we can divide 0.4 by 0.9 (=0.44) and divide 0.6 by 0.9 (=0.67) and find out which class has higher probability (0.67 > 0.44). Instead of dividing by the same denominator value, we can directly compare the numerator (0.6 > 0.4) and find out which has higher value in the numerator (naturally higher the numerator value, higher will be the probability value given a constant denominator) and predict the class accordingly.

Equation 3 – Naive Bayes classification rule
Gaussian Naive Bayes
Here the assumption is that the feature values (continuous variable like income) are normally distributed in each class. Look at the following picture where there are two classes (not purchased and purchased). In each of these two classes, the independent variable or the feature (income) is assumed to be normally distributed. Using this assumption, we calculate the likelihood term of the bayes’ equation.

-- The article is interrupted by calculated crystals --
-- begin --
Record 1
Density functional theory data (PBE) for crystalline SiO2 at its relaxed geometry.

Summary:
SG   Pm-3m, No. 221
Electronic total energy   -568.9 eV/cell
E_form   -3252 meV/atom

Lattice parameters (Å, degrees): 11.993 11.993 11.993 90.00 90.00 90.00
Sites, in units of the cell vectors:
Si: 0.000 0.183 0.368
Si: 0.000 0.183 0.632
Si: 0.000 0.368 0.183
Si: 0.000 0.368 0.817
Si: 0.000 0.632 0.183
Si: 0.000 0.632 0.817
Si: 0.000 0.817 0.368
Si: 0.000 0.817 0.632
Si: 0.183 0.000 0.368
Si: 0.183 0.000 0.632
Si: 0.183 0.368 0.000
Si: 0.183 0.632 0.000
Si: 0.368 0.000 0.183
Si: 0.368 0.000 0.817
Si: 0.368 0.183 0.000
Si: 0.368 0.817 0.000
Si: 0.632 0.000 0.183
Si: 0.632 0.000 0.817
Si: 0.632 0.183 0.000
Si: 0.632 0.817 0.000
Si: 0.817 0.000 0.368
Si: 0.817 0.000 0.632
Si: 0.817 0.368 0.000
Si: 0.817 0.632 0.000
O: 0.000 0.215 0.500
O: 0.000 0.298 0.298
O: 0.000 0.298 0.702
O: 0.000 0.500 0.215
O: 0.000 0.500 0.785
O: 0.000 0.702 0.298
O: 0.000 0.702 0.702
O: 0.000 0.785 0.500
O: 0.111 0.111 0.338
O: 0.111 0.111 0.662
O: 0.111 0.338 0.111
O: 0.111 0.338 0.889
O: 0.111 0.662 0.111
O: 0.111 0.662 0.889
O: 0.111 0.889 0.338
O: 0.111 0.889 0.662
O: 0.215 0.000 0.500
O: 0.215 0.500 0.000
O: 0.298 0.000 0.298
O: 0.298 0.000 0.702
O: 0.298 0.298 0.000
O: 0.298 0.702 0.000
O: 0.338 0.111 0.111
O: 0.338 0.111 0.889
O: 0.338 0.889 0.111
O: 0.338 0.889 0.889
O: 0.500 0.000 0.215
O: 0.500 0.000 0.785
O: 0.500 0.215 0.000
O: 0.500 0.785 0.000
O: 0.662 0.111 0.111
O: 0.662 0.111 0.889
O: 0.662 0.889 0.111
O: 0.662 0.889 0.889
O: 0.702 0.000 0.298
O: 0.702 0.000 0.702
O: 0.702 0.298 0.000
O: 0.702 0.702 0.000
O: 0.785 0.000 0.500
O: 0.785 0.500 0.000
O: 0.889 0.111 0.338
O: 0.889 0.111 0.662
O: 0.889 0.338 0.111
O: 0.889 0.338 0.889
O: 0.889 0.662 0.111
O: 0.889 0.662 0.889
O: 0.889 0.889 0.338
O: 0.889 0.889 0.662

***

Record 2
Density functional theory data (PBE) for crystalline K2PO4 at its relaxed geometry.

Summary:
SG   P2_1/c, No. 14
Electronic total energy   -167.7 eV/cell
E_form   -2335 meV/atom

Lattice parameters (Å, degrees): 5.977 10.384 7.491 90.00 99.12 90.00
Sites, in units of the cell vectors:
K: 0.237 0.231 0.474
K: 0.237 0.269 0.974
K: 0.252 0.584 0.328
K: 0.252 0.916 0.828
K: 0.748 0.084 0.172
K: 0.748 0.416 0.672
K: 0.763 0.731 0.026
K: 0.763 0.769 0.526
P: 0.279 0.575 0.780
P: 0.279 0.925 0.280
P: 0.721 0.075 0.720
P: 0.721 0.425 0.220
O: 0.073 0.651 0.819
O: 0.073 0.849 0.319
O: 0.225 0.053 0.181
O: 0.225 0.447 0.681
O: 0.390 0.538 0.998
O: 0.390 0.962 0.498
O: 0.458 0.654 0.705
O: 0.458 0.846 0.205
O: 0.542 0.154 0.795
O: 0.542 0.346 0.295
O: 0.610 0.038 0.502
O: 0.610 0.462 0.002
O: 0.775 0.553 0.319
O: 0.775 0.947 0.819
O: 0.927 0.151 0.681
O: 0.927 0.349 0.181

***

Record 3
Density functional theory data (PBE) for crystalline Re2H6PbCN2O10 at its relaxed geometry.

Summary:
Polymorph energy (0 for the lowest one)   0 meV/atom
SG   P2_1/c, No. 14
Electronic total energy   -597.6 eV/cell
E_form   -1451 meV/atom
-- stop --

Example (naive bayes using python)
#Import from sklearn import datasets iris = datasets.load_iris() from sklearn.naive_bayes import GaussianNB from sklearn.model_selection import train_test_split from sklearn.metrics import accuracy_score #Data X=iris.data y=iris.target #Splitting into test and train x_train, x_test, y_train, y_test = train_test_split(X, y, test_size=0.2, random_state=0) #Fit Naive Bayes gnb = GaussianNB() gnb.fit(x_train, y_train)
Output: GaussianNB(priors=None)
#Prediction and accuracy y_pred = gnb.predict(x_test) accuracy_test = accuracy_score(y_test, y_pred) #Print accuracy print ("Test Accuracy: %0.2f" % (accuracy_test))
Output: Test Accuracy: 0.97
In this blogpost, we have understood the Bayes’ theorem and its application with python for solving classification tasks.